Western Regional Homeland Security Advisory Council
Exercise Request Guidance
The Western Regional Homeland Security Advisory Council (WRHSAC) continuously welcomes proposals for emergency preparedness exercises, including tabletop, functional and full scale, from communities, public safety departments, Local or Regional Emergency Planning Committees, and other first responder agencies in the four Western Massachusetts Counties: Hampden, Hampshire, Franklin and Berkshire.
The purpose of any approved exercises must be to enhance Emergency Preparedness and Response in the Western Region. All Exercises funded with Homeland Security monies must be held under the guidelines of the Homeland Security Exercise and Evaluation Program (HSEEP), which includes the preparation of After Action Reports and Improvement Plans. The HSEEP guidance also requires that Exercises follow a specific progression:
· Tabletop Exercise of a Plan
· Functional Exercise of a Plan
· Full scale Exercise of a Plan
Thus the WRHSAC will approve a Full Scale Exercise proposal only if Functional and Tabletop exercises have already been held on the plan. Functional Exercise proposals must show evidence that a Tabletop exercise has been previously held. Additional information about the HSEEP can be found at: https://hseep.dhs.gov/pages/1001_HSEEP7.aspx
Proposals will be reviewed by the Exercise Subcommittee on an ongoing basis as they are received, and must be submitted at least 90 days before the exercise date. The subcommittee meets at 9:30 am in Northampton, Ma on the third Tuesday of the month. Requests must be received by the Wednesday prior. If an exercise would involve state agency participation, the proposal must be reviewed by the subcommittee at least three weeks prior to the Initial Planning Conference meeting.
IMPORTANT: A representative from the submitting agency must be available to attend the Training & Exercise subcommittee when the proposal is reviewed. Proposals will not be considered without agency representation.
Send proposals (electronic copy preferred) to:
Susan L. Brown, Homeland Security Program Manager
Franklin Regional Council of Governments
425 Main St., Suite 20
Greenfield, MA 01301
For additional information, contact Susan L. Brown at (413)774-3167 x 117.
Submittal Process
Agencies seeking funding for their Exercises from WRHSAC must submit their proposal in the following format:
1. Cover Sheet with Applicant Information (see below)
Utilizing the Exercise Approval Request Form (see below), the Applicant must provide the following information:
2. Description of Exercise
Calculated molecules that have nothing to do with the piece:
+++
Record 1
Computed, not measured: 2 unconnected molecules or ions with the total composition C4H9ClN in a non-equilibrium geometry, with ωB97M-V/def2-TZVPD.

Structure (XYZ):
```
15
Properties=species:S:1:pos:R:3:forces:R:3
C -0.03246 -1.77563 -0.38210 -0.14 -0.49 -0.23
C -0.68513 -0.65414 -0.47288 1.88 2.42 2.60
C -1.87430 -0.08539 -1.06549 -0.50 0.07 -0.36
C 0.30981 1.01344 0.96744 -1.87 -2.48 -2.29
N 1.73697 0.92105 0.64930 0.34 -0.08 0.21
Cl 1.38825 -2.08060 0.56370 0.01 -0.22 0.08
H -0.36034 -2.67015 -0.90715 -0.01 0.12 -0.03
H -2.52640 -0.89100 -1.41483 -0.01 0.01 -0.06
H -2.42891 0.49934 -0.33331 -0.04 -0.03 -0.01
H -1.62805 0.55591 -1.91131 -0.02 0.04 -0.01
H -0.17238 1.92599 0.66208 0.13 0.21 -0.01
H 0.05059 0.62859 1.93753 0.16 -0.02 0.21
H 1.93119 1.29752 -0.28433 0.01 -0.14 0.23
H 1.96587 -0.10824 0.65858 0.12 0.79 -0.06
H 2.32528 1.42332 1.33276 -0.06 -0.20 -0.26
```
Forces are in eV/Å.

Values from the calculation:
Relative energy (zero: lowest compared OMol25 entry of this formula, charge and spin) = 56.5 kcal/mol
E = -18296.2872 eV
Molar mass = 106.576 g/mol
Frontier orbital gap (alpha / beta) = 9.24 / 9.24 eV
LUMO level (alpha / beta) = -4.43 / -4.43 eV
Total charge = +1

Record 2
Computed, not measured: 3 unconnected molecules or ions with the total composition C30H57BBrN4O7P in a non-equilibrium geometry, with ωB97M-V/def2-TZVPD.

Structure (XYZ):
```
101
Properties=species:S:1:pos:R:3:forces:R:3
C 1.99876 -0.91720 -0.29353 0.61 -0.31 0.77
C 3.29994 -0.02778 0.23325 -0.25 -1.30 -0.77
C 4.28281 0.18333 -1.06823 0.63 0.26 0.89
C 4.90431 1.70481 -1.02998 -0.72 -0.02 -1.35
C 4.13058 2.57716 -2.18580 -0.16 1.61 0.77
C 3.36909 3.82699 -1.41634 -0.86 -0.86 -0.84
C 2.64480 4.81001 -2.52738 0.35 0.44 0.74
C 1.27523 5.40800 -1.84399 -0.30 0.15 -0.68
C 0.02024 4.30459 -1.81102 0.53 -0.18 -1.32
C -1.42518 5.01880 -1.51438 -0.18 0.09 0.80
C -2.63508 3.98579 -1.09765 -2.91 -0.28 2.62
C -3.54765 4.43954 0.22776 -0.53 -3.45 -2.72
C -4.82145 3.50892 0.71969 2.20 -2.01 -3.98
C -5.12694 2.14477 -0.13521 1.46 2.22 0.63
B -6.43847 1.23721 0.38275 -1.30 -0.82 -0.30
O -7.34493 0.50849 -0.57161 1.80 3.48 1.07
O -6.78612 1.15740 1.84207 -0.47 1.90 -3.20
C -4.23752 1.62724 -1.45254 -0.38 1.26 1.42
N -4.66944 0.32399 -2.06598 5.97 4.22 -2.69
C -3.75269 0.03968 -3.22184 -1.01 2.37 1.59
P -4.06767 -1.63036 -4.16948 0.13 -0.03 -0.85
O -5.09032 -1.29092 -5.55574 1.52 2.33 2.20
Br -5.29233 -2.94928 -2.72812 0.24 1.15 -0.71
C -2.53553 0.96538 -3.77569 -1.70 1.63 3.20
N -2.15893 2.26134 -3.11496 -4.25 -4.26 1.10
C -3.00914 2.58659 -1.91907 0.05 -0.20 -0.24
H 1.27428 -0.30931 -0.99431 1.48 -1.18 1.47
H 1.42457 -1.34757 0.65954 1.02 0.94 -2.27
H 2.45457 -1.83323 -0.90270 -1.19 1.94 1.31
H 3.85865 -0.70931 1.00875 -1.10 1.50 -1.27
H 2.97277 0.97734 0.75073 0.64 -1.99 -1.14
H 5.20871 -0.55760 -1.08190 -2.34 1.40 0.26
H 3.64203 -0.04728 -2.03605 1.54 0.75 1.90
H 6.05775 1.75458 -1.27958 -2.34 -0.29 0.80
H 4.66117 2.20294 0.01825 0.79 -1.10 -2.19
+++
a. Objective
b. Description of scenario
c. Municipalities/Agencies involved
3. Process
a. Who will write the scenario and provide facilitation
b. Numbers of participants/Disciplines involved
c. Planning Conferences (date, place & time)
d. Number of exercises
e. Proposed date(s)
4. Budget
a. Preparation of scenario
b. Facilitation costs
c. Estimate of Backfill/overtime costs for hourly personnel (note: straight time is not an allowable expense; only backfill or overtime can be reimbursed; however, volunteer emergency response personnel can be paid a stipend of $15/hr)
d. Other costs: meeting room, food, etc. (food can be provided if exercise is a minimum of 5 hours in duration)
e. If other funds will supplement the WRHSAC funds, please indicate the source and amount.
If an exercise is approved, an HSEEP compliant After Action Report (AAR) must be submitted to the Council within 30 days following the exercise execution. The AAR will be forwarded to the Executive Office of Safety and Security (EOPSS) for review, and must be approved by EOPSS before any exercise related reimbursements will be made.
A template for writing the AAR can be found at: https://hseep.dhs.gov/support/AAR-IP_Template%202007.doc
Western Regional Homeland Security Advisory Council
Cover Sheet for Exercise Proposals
(Community, agency, department, organization, or district)
(Name and Title)
Information for Contact Person:
Applicant Signature:
Name of person signing:
Title of person signing:
Submission date:
Western Regional Homeland Security Advisory Council
Exercise Approval Request Form
All items are required for an exercise request to be considered.
Exercise Name:
Exercise Date:
Exercise Type (Tabletop, Functional, Full Scale):
Exercise Project Officer: [Municipal Exercise Manager of Proposed Exercise]
Municipality Receiving Funding: [Name of Municipality]
Funding Amount:
Focus: [Response, Recovery, Prevention, Other]
Scenario (Provide a brief summary of exercise scenario):
What Plan(s) are being exercised? [Name of Plan(s)]
Local Location: [Local Jurisdiction Where Exercise is to be Conducted]
Military_Installation: [Military Installation (if applicable) Where Exercise is Conducted]
Federal_Participants: [List Participating Federal Agencies]
State_Participants: [List Participating State Agencies/Authorities]
Local_Participants: [List Participating Local Agencies]
Initial Planning Conference: [Date and Time]
Midterm Planning Conference: [Date and Time] (* if applicable)
Final Planning Conference: [Date and Time]
Person(s) Writing After Action Report: [Name of Person]
Contact Information of Person Writing After Action Report: [Email Address]
For some exercises an Environmental Planning and Historical Preservation (EHP) Scope of Work may need to be completed and submitted to EOPSS for DHS review and approval before the exercise may be conducted. Please review the exercise scenario and the EHP Guidance to make this determination and provide response here. [Yes/No and briefly explain why Yes/No decision reached]
Narrative of exercise scenario (please provide a detailed narrative of exercise):
Exercise Approval Request – Budget
Item: / Amount:Consultant Cost(s)
Estimated Municipal First Responder Backfill (BF) / Overtime (OT) Cost(s) (Please specify discipline)
Facility Rental Cost(s)
Supply Cost(s) [Specify]
Food Cost(s) (Only allowable for events 5 hours or longer)
Other Costs [Specify]